
Senate Majority Leader Harry Reid says he's not willing to consider changes to Social Security for another 20 years – when he's 91 -- but the entitlement program for seniors is likely to be in crisis by then.

Despite the growing drumbeat in Washington for entitlement reform to tackle the federal deficit, Reid said Wednesday evening that changes to the program are not something he will even consider talking about, much less acting on.

"Two decades from now, I'm willing to take a look at it, but I'm not willing to take a look at it right now," he told MSNBC. "It is not in crisis at this stage. Leave Social Security alone. We have a lot of other places we can look that is in crisis. But Social Security is not."

While Social Security is technically flush with a $2.5 trillion surplus -- amassed since the retirement program was last overhauled in the 1980s -- that money is projected to run dry in 2037, six years after Reid says he's willing to consider changes, and that's only if the government pays back its IOUs after raiding the trust fund.

By 2037, Social Security would collect enough in payroll taxes to pay out about 78 percent of benefits, according to the Social Security Administration.

Many conservatives don't trust the $2.5 trillion surplus because it has been borrowed over the years by the federal government and spent on other programs. The Treasury Department in return has issued bonds to Social Security, guaranteeing repayment with interest.

== What comes next are materials data, not part of the piece ==
-- begin --
Pm5Sm2Dy12: relaxed, PBE-GGA.

Computed properties:
Space-group type   No. 12
D(E_F)   1.4943 states/eV/atom
ΔH_f (0 K)   0.173 eV/atom
DFT total energy   -85.1 eV/cell
Magnetization   0.00 μB per formula unit

Cell lengths 7.064, 9.817, 10.415 Å; angles 70.46, 90.00, 111.09 degrees
Positions (direct):
Pm 0.320 0.640 0.212
Dy 0.026 0.051 0.753
Pm 0.188 0.377 0.816
Dy 0.912 0.318 0.131
Sm 0.275 0.000 0.000
Dy 0.089 0.673 0.522
Dy 0.503 0.006 0.327
Dy 0.911 0.327 0.478
Dy 0.416 0.327 0.478
Dy 0.406 0.318 0.131
Dy 0.497 0.994 0.673
Dy 0.594 0.682 0.869
Sm 0.725 0.000 0.000
Dy 0.974 0.949 0.247
Dy 0.584 0.673 0.522
Dy 0.088 0.682 0.869
Pm 0.000 0.000 0.500
Pm 0.812 0.623 0.184
Pm 0.680 0.360 0.788

----------

Entry 1:
Below is crystalline Th2PtRhAu at its relaxed geometry, with properties calculated at the PBE level.

The structure in extended XYZ format:
```
10
Lattice="7.8566 0.0000 0.0000 0.0000 4.2478 0.0000 -3.1356 0.0000 7.2116" Properties=species:S:1:pos:R:3 pbc="T T T"
Th 0.2144 1.0619 2.7211
Th -0.8077 1.0619 6.9789
Th 5.5288 3.1858 0.2327
Th 4.5067 3.1858 4.4905
Pt 3.0103 3.1858 1.8710
Pt 1.7107 1.0619 5.3406
Rh 0.5410 3.1858 0.8132
Rh 4.1800 1.0619 6.3984
Au -0.2004 3.1858 4.8555
Au 4.9214 1.0619 2.3561
```

Computed properties:
Its symmetry is P2_1/m (11). The value obtained for the magnetic moment is 0.00 μB/cell. The calculation puts the uncorrected energy at -7.140 eV/atom. The calculation puts the formation enthalpy at 0 K at -0.84 eV/atom.

Entry 2:
Below is crystalline ThPtRhAu at its relaxed geometry, with properties calculated at the PBE level.

The structure in extended XYZ format:
```
4
Lattice="3.9963 0.0000 0.0000 0.0000 4.2478 0.0000 0.0000 0.0000 4.5214" Properties=species:S:1:pos:R:3 pbc="T T T"
Th 0.0000 0.0000 0.0000
Pt 1.9982 0.0000 2.2607
Rh 1.9982 2.1239 0.0000
Au 0.0000 2.1239 2.2607
```

Computed properties:
Its symmetry is Pmmm (47). The value obtained for the magnetic moment is 0.00 μB/cell. As for the distance to the lowest polymorph of the same formula: 0.00 eV per formula unit. The calculation puts the uncorrected energy at -6.889 eV/atom. The calculation puts the formation enthalpy at 0 K at -0.87 eV/atom.

Entry 3:
Below is crystalline TiPtRhAu at its relaxed geometry, with properties calculated at the PBE level.

The structure in extended XYZ format:
```
8
Lattice="4.0280 0.0000 0.0000 0.0000 4.0280 0.0000 0.0000 0.0000 7.7100" Properties=species:S:1:pos:R:3 pbc="T T T"
Ti 0.0000 0.0000 0.0000
Ti 2.0140 2.0140 3.8550
Pt 0.0000 2.0140 5.7825
Pt 2.0140 0.0000 1.9275
Rh 0.0000 2.0140 1.9275
Rh 2.0140 0.0000 5.7825
Au 0.0000 0.0000 3.8550
Au 2.0140 2.0140 0.0000
```

Computed properties:
Its symmetry is I-4m2 (119). The value obtained for the magnetic moment is 0.00 μB/cell. The calculation puts the uncorrected energy at -6.735 eV/atom. The calculation puts the formation enthalpy at 0 K at -0.59 eV/atom.

Entry 4:
-- stop --

Some prominent conservative commentators call those bonds "worthless."

Citing the White House Office of Management and Budget, Washington Post columnist and Fox News contributor Charles Krauthammer wrote the bonds are nothing more than promises that the Treasury can deliver only by raising taxes, borrowing money or reducing benefits.

"The lockbox, the balances, the little pieces of paper, amount to nothing," he wrote.

Many deficit hawks eager to get the nation's fiscal house in order are pushing for immediate changes. Rep. Paul Ryan, R-Wis. chairman of the House Budget Committee, has released a plan that would offer workers under 55 the option of investing over a third of their current Social Security taxes in personal retirement accounts.

Even President Obama's much-ballyhooed deficit commission last year made recommendations to raise the Social Security retirement age to 68 by 2050 and 69 by 2075 and reduce future increases in benefits.

But Obama ignored this proposal in his budget. And Sen. Chuck Schumer, D-N.Y., has been outspoken in his defense of preserving the integrity of Social Security. Most recently, he fired back at House Majority Leader Eric Cantor's statement that "it is very difficult to balance the budget in the next 10 years without cutting seniors' benefits now."

"Rep. Cantor's claim that we need to cut seniors' Social Security checks today to balance the budget is flat-out wrong," he said in a statement last week. "Blaming Social Security for our deficit is nothing but an ideological attempt to slash benefits and privatize the program."

Social Security represents nearly 20 percent of all federal spending this fiscal year, and that is expected to grow as more baby boomers retire.

In 2010, more than 54 million Americans were receiving Social Security benefits – with monthly payments averaging $1,076 -- and 16.5 million more are projected to receive them over the next 10 years.

Social Security posted its first deficit last year since the program was last reformed three decades ago. The CBO said at the time that Social Security would post surpluses for a few more years before permanently slipping into deficits in 2016.

• What comes next are calculated crystals, not part of the piece:
Compound: Mn2MoIF
Source: Alexandria via LeMat-Bulk
Functional: PBE+U
Structure: relaxed

a = 5.283 Å, b = 5.283 Å, c = 5.707 Å
α = 90.00°, β = 90.00°, γ = 90.00°
Space group P4/mmm (No. 123)
One atom of each set of equivalent atoms:
Mn: 0.000 0.500 0.000 [2 per cell]
Mo: 0.000 0.000 0.500 [1 per cell]
I: 0.000 0.000 0.000 [1 per cell]
F: 0.500 0.500 0.500 [1 per cell]

=====

Compound: MgWF2
Source: Alexandria via LeMat-Bulk
Functional: PBE+U
Structure: relaxed

a = 5.101 Å, b = 5.101 Å, c = 9.596 Å
α = 90.00°, β = 90.00°, γ = 90.00°
Space group I-42d (No. 122)
One atom of each set of equivalent atoms:
Mg: 0.000 0.000 0.000 [4 per cell]
W: 0.000 0.000 0.500 [4 per cell]
F: 0.157 0.250 0.125 [8 per cell]

=====

no.,magnetization (μB/cell),E (eV/atom)
1,5.31,-3.069
2,8.00,-4.130

But the latest projections show nothing but red ink until the Social Security trust funds are exhausted in 2037.

"Harry Reid is playing politics," Democratic strategist Doug Schoen said. "I was part of efforts in the 1990s to do just that. But it's wrong. We just can't afford it. Harry Reid and the liberal Democrat are pursuing the wrong course."

"Harry Reid and some Republicans and many Democrats are momentarians," Brad Blakeman, former deputy assistant to President George W. Bush said. "They live for the moment. Great societies provide for the moment but plan for the future, and our future demands we tackle the tough problems today and not just react to crises but head off crises."

The Associated Press contributed to this report.